Brief:
Find the line below that holds "_cell_angle_alpha 90.00", then duplicate that line and all lines after it there.

Contents:
********
Density functional theory data (PBE-GGA) for Dy5Zn4Pb after structural relaxation.

## Properties
E_tot (eV per cell): -35.47

Unit cell a=3.5949 b=3.5949 c=18.3863 alpha=90.00 beta=90.00 gamma=90.00
Space group P4/mmm (No. 123)
Asymmetric unit:
Dy 0.0000 0.0000 0.0000 x1
Dy 0.0000 0.0000 0.1912 x2
Dy 0.0000 0.0000 0.3813 x2
Zn 0.5000 0.5000 0.0975 x2
Zn 0.5000 0.5000 0.2839 x2
Pb 0.5000 0.5000 0.5000 x1

* * * * *

K3V2CdO8: relaxed, PBE+U.

**Fermi-level density of states**: 10.8 states/eV per cell
**E_tot**: -5.938 eV/atom

Cell and atoms, written as CIF:
```
data_K3V2CdO8
_cell_length_a 5.9890
_cell_length_b 5.9890
_cell_length_c 7.6945
_cell_angle_alpha 90.00
_cell_angle_beta 90.00
_cell_angle_gamma 120.00
_symmetry_space_group_name_H-M 'P -3 m 1'
_symmetry_Int_Tables_number 164
_symmetry_space_group_name_Hall '-P 3 2"'
loop_
_atom_site_label
_atom_site_type_symbol
_atom_site_fract_x
_atom_site_fract_y
_atom_site_fract_z
_atom_site_occupancy
K1 K 0.0000 0.0000 0.0000 1
K2 K 0.3333 0.6667 0.6759 1
V1 V 0.3333 0.6667 0.2370 1
Cd1 Cd 0.0000 0.0000 0.5000 1
O1 O 0.1748 0.3497 0.3149 1
O2 O 0.3333 0.6667 0.0141 1
```
********

Written answer:
_cell_angle_alpha 90.00
_cell_angle_beta 90.00
_cell_angle_gamma 120.00
_symmetry_space_group_name_H-M 'P -3 m 1'
_symmetry_Int_Tables_number 164
_symmetry_space_group_name_Hall '-P 3 2"'
loop_
_atom_site_label
_atom_site_type_symbol
_atom_site_fract_x
_atom_site_fract_y
_atom_site_fract_z
_atom_site_occupancy
K1 K 0.0000 0.0000 0.0000 1
K2 K 0.3333 0.6667 0.6759 1
V1 V 0.3333 0.6667 0.2370 1
Cd1 Cd 0.0000 0.0000 0.5000 1
O1 O 0.1748 0.3497 0.3149 1
O2 O 0.3333 0.6667 0.0141 1
```